This is a partial re-print of an October 2010 article.
It’s Halloween time, which always leads me to want to stop and ruminate on the spooky, the scary, and the evil that’s out to get us all! As my sister and I spent the last several days at our mom’s house, helping her mend from back surgery, we spent our evenings decompressing with ON DEMAND horror flicks. Yes, that’s right. When we need to forget about our life for a while, we turn to things like Human Centipede and Saw. We love to have the sh*t scared out of us. We even go so far as to turn off all of the lights, lock the doors, and sit in complete darkness as the music begins to envelope us while the opening credits roll across the screen.
Of course, it’s all just fake and folly. We know that. But it’s okay because we also know that once the sex-crazed teens are sliced, the demented killer disappears, and the credits roll, the “scariness” has no more power over us. We move back into our sunny lives outside the theater of our minds. Movie over and–DONE. Back to reality. We can do this with external ghouls, but why can’t we do this with the ghouls that reside within us?
The worst ghoul of all is the girl inside of us that torments, taunts, and triggers us to think things about ourselves and our lives that are downright frighteningly unhealthy, mad, and dangerous. She is the one who tells us that we are too fat, too short, too ugly, too lazy, too self-centered, too dumb, too poor, too black, too white, too arrogant, too indulgent, and too much. She is our INNER GHOUL.
The girl inside–she’s the worst. She’s the one who sits (invisibly) on our shoulder and whispers in our ear. Sometimes she brings her friends along to wreck our party, our good feelings, our sense that we’re making progress in our lives, that we’re actually attractive and sexy, that we CAN do whatever we want with our own sense of style and grace. More often than not, though, she shows up alone. We grant her power, just like we grant power to the psychos in the movies, and allow her to make us feel inferior, scared, and paralyzed with fear. She is more than annoying. She foils our best-laid plans.
## Misplaced crystal structures
- - -
DFT (GGA-PBE) results for crystalline Cu2Ag2Sn at its relaxed geometry.

It has space group P4/mbm (No. 127), with a = 6.960 Å, b = 6.960 Å, c = 3.529 Å, α = 90.00°, β = 90.00° and γ = 90.00°. Symmetry generates all atoms from Cu at (0.131, 0.369, 0.000), Ag at (0.160, 0.660, 0.500) and Sn at (0.000, 0.000, 0.000).

For the calculated volume, the calculation gives 171 Å³/cell. As for the final energy: -3.485 eV per atom.

=====

Density functional theory data (PBE) for a relaxed Nb2CuPt crystal.

Values from the calculation:
N(E_F): 3.832 states/eV/cell
calculated volume: 63.80 Å³ per cell
crystal system: tetragonal
symmetry: P4/mmm
DFT total energy: -7.87 eV/atom
mass density: 11.57 g/cm3
ΔH_f (0 K): -0.30 eV/atom

a b c (Å): 3.9586 3.9586 4.0713
angles (deg): 90.00 90.00 90.00
With the nearest neighbours (Å) after each atom.
Positions (direct):
Nb  0.0000  0.5000  0.0000  4 Nb 2.80, 4 Cu 2.84, 4 Pt 2.84
Nb  0.5000  0.0000  0.0000  4 Nb 2.80, 4 Cu 2.84, 4 Pt 2.84
Cu  0.0000  0.0000  0.5000  4 Pt 2.80, 8 Nb 2.84
Pt  0.5000  0.5000  0.5000  4 Cu 2.80, 8 Nb 2.84

Density functional theory data (PBE) for a relaxed PmMgSn6 crystal.

Values from the calculation:
N(E_F): 5.171 states/eV/cell
calculated volume: 209.88 Å³ per cell
crystal system: tetragonal
symmetry: P4/mmm
DFT total energy: -4.06 eV/atom
mass density: 6.97 g/cm3
ΔH_f (0 K): -0.27 eV/atom

a b c (Å): 6.7959 6.7959 4.5445
angles (deg): 90.00 90.00 90.00
With the nearest neighbours (Å) after each atom.
Positions (direct):
Pm  0.0000  0.0000  0.0000  12 Sn 3.40-3.41
Mg  0.5000  0.5000  0.0000  12 Sn 3.21-3.40
Sn  0.0000  0.5000  0.0000  8 Sn 3.31, 2 Mg 3.40, 2 Pm 3.40
Sn  0.2646  0.2646  0.5000  6 Sn 3.20-3.31, 2 Mg 3.21, 2 Pm 3.41
Sn  0.2646  0.7354  0.5000  6 Sn 3.20-3.31, 2 Mg 3.21, 2 Pm 3.41
Sn  0.5000  0.0000  0.0000  8 Sn 3.31, 2 Mg 3.40, 2 Pm 3.40
Sn  0.7354  0.2646  0.5000  6 Sn 3.20-3.31, 2 Mg 3.21, 2 Pm 3.41
Sn  0.7354  0.7354  0.5000  6 Sn 3.20-3.31, 2 Mg 3.21, 2 Pm 3.41

Density functional theory data (PBE) for a relaxed LiZrIn crystal.

Values from the calculation:
N(E_F): 2.630 states/eV/cell
calculated volume: 60.36 Å³ per cell
crystal system: tetragonal
symmetry: I4mm
DFT total energy: -4.49 eV/atom
mass density: 5.86 g/cm3
ΔH_f (0 K): -0.09 eV/atom

a b c (Å): 6.3412 6.3412 6.3412
angles (deg): 150.85 150.85 41.70
With the nearest neighbours (Å) after each atom.
Positions (direct):
Li  0.0000  0.0000  0.0000  4 In 2.80, 4 Zr 3.11
Zr  0.3190  0.3190  0.0000  4 In 3.10, 4 Li 3.11, 4 Zr 3.19
In  0.6393  0.6393  0.0000  4 Li 2.80, 4 Zr 3.10

Which of these has the lowest calculated volume?
LiZrIn

Among the records above, which one has the lowest N(E_F)?
LiZrIn

DFT total energy of number 1 (Nb2CuPt)?
-7.87 eV/atom

=====

Compound: NaFeF2
Source: Alexandria via LeMat-Bulk
Functional: GGA+U
Structure: relaxed Values from VASP.

Calculated values
- - -
But, alas, like all creepy characters in spooky scenes, this ghoul only has power because we give her power.
We anoint our inner ghoul as our queen. She possesses us with all sense of righteousness: “don’t even think for a second that they’ll actually hire someone like you.” And the minute we fight back “Why not? I’m educated, I’ve got experience. I am a good human with smarts and savvy,” she laughs, throws her head back and seethes “because you are YOU and you certainly aren’t as worthy as all of the rest of them. You’re not as smart, not as important, and not as worthy as the rest of them. You’re descended of white trash, you unsophisticated and clumsy, and you’re too fat to amount to anything. Why do you even bother trying?!?” We begin to run away and then deny it “No, no…I won’t listen to you anymore…NO MORE! I am WORTHY and I’m NOT those things you say.” and she just laughs more loudly, sinister and black, “You’ll never get away…it’s been this way your whole life, my precious piggy…you are under MY control ultimately! Try as you might, there is no escape!” As we get backed into the corner with her towering over us, our hands outstretched to shield our face, our bodies trembling with fear, we make one last-ditch effort to save ourselves by pulling off her cape and tearing free the scepter from her hands…and then she berates us when we even begin to uncloak her: Stop that you idiot! Who do you really think you are? You will always be worthless. Your ugliness runs deep. There will always be someone smarter than you. You are not so clever, my dearie. Your ideas are not original, your jokes are stupid, and I don’t know why you think you can even begin to compete with the likes of the rest of the world. I will leave you for now, but you should know better than to try and rid your life of me! I will be back!” And poof! She’s gone…for a little while.
Ok. So maybe your demonesses, your ghoulesses, your inner voices aren’t as awful as this. Or maybe they are. Or maybe they’re worse. I don’t know. But here’s the thing I do know: we’ve all got them in one degree or another. And try as we might, getting rid of them is incredibly hard work. It takes time. It takes patience. It takes perseverance. It takes an emotional exorcism.
........
Entry i
This record from Alexandria describes a relaxed Y2Ti2As crystal. The functional is PBE-GGA.

a b c (Å): 4.1941 4.1941 13.5468
angles (deg): 90.00 90.00 90.00
Closest atoms and distances in Å follow each position.
Space group I4/mmm (No. 139)
Inequivalent atoms, fractional coordinates:
Y 0.0000 0.5000 0.2500 (multiplicity 4)  4 Y 2.97, 4 Ti 3.16
Ti 0.0000 0.0000 0.0751 (multiplicity 4)  1 Ti 2.04
As 0.0000 0.0000 0.5000 (multiplicity 2)  8 Ti 3.14


Entry ii
This record from Alexandria describes a relaxed Y2Ti2As crystal. The functional is PBE-GGA.

a b c (Å): 6.9336 6.9336 4.6759
angles (deg): 90.00 90.00 90.00
Closest atoms and distances in Å follow each position.
Space group P4/mbm (No. 127)
Inequivalent atoms, fractional coordinates:
Y 0.1629 0.3371 0.0000 (multiplicity 4)  6 Ti 3.03-3.15, 1 Y 3.19
Ti 0.1400 0.6400 0.5000 (multiplicity 4)  2 As 2.68, 1 Ti 2.75
As 0.0000 0.0000 0.5000 (multiplicity 2)  4 Ti 2.68


Energies relative to the most stable structure are entry i 0.837; entry ii 0.000, reported in eV/atom.


Entry i
This record from Alexandria describes a relaxed YTiAs3 crystal. The functional is PBE-GGA.

a b c (Å): 5.2921 5.2921 5.2921
angles (deg): 90.00 90.00 90.00
Closest atoms and distances in Å follow each position.
Space group Pm-3m (No. 221)
Inequivalent atoms, fractional coordinates:
Y 0.0000 0.0000 0.0000 (multiplicity 1)  6 As 2.65
Ti 0.5000 0.5000 0.5000 (multiplicity 1)  12 As 3.74
As 0.0000 0.0000 0.5000 (multiplicity 3)  2 Y 2.65


Entry ii
This record from Alexandria describes a relaxed YTiAs3 crystal. The functional is PBE-GGA.

a b c (Å): 4.8805 4.8805 4.8805
angles (deg): 90.00 90.00 90.00
Closest atoms and distances in Å follow each position.
Space group Pm-3m (No. 221)
Inequivalent atoms, fractional coordinates:
Y 0.0000 0.0000 0.0000 (multiplicity 1)  12 As 3.45
Ti 0.5000 0.5000 0.5000 (multiplicity 1)  6 As 2.44
As 0.0000 0.5000 0.5000 (multiplicity 3)  2 Ti 2.44


Energies relative to the most stable structure are entry i 1.119; entry ii 0.000, reported in eV/atom.


Entry i
This record from Alexandria describes a relaxed Ti2ZnAs crystal. The functional is PBE-GGA.

a b c (Å): 6.3212 6.3212 6.3212
angles (deg): 90.00 90.00 90.00
Closest atoms and distances in Å follow each position.
Space group Fm-3m (No. 225)
Inequivalent atoms, fractional coordinates:
Ti 0.2500 0.2500 0.2500 (multiplicity 8)  4 As 2.74, 4 Zn 2.74
Zn 0.0000 0.0000 0.0000 (multiplicity 4)  8 Ti 2.74
As 0.0000 0.0000 0.5000 (multiplicity 4)  8 Ti 2.74


Entry ii
This record from Alexandria describes a relaxed Ti2ZnAs crystal. The functional is PBE-GGA.

a b c (Å): 6.9984 6.9984 5.5457
angles (deg): 90.00 90.00 90.00
Closest atoms and distances in Å follow each position.
Space group I-42d (No. 122)
Inequivalent atoms, fractional coordinates:
Ti 0.2408 0.2500 0.1250 (multiplicity 8)  2 As 2.53, 2 Zn 2.61, 2 Ti 2.78
Zn 0.0000 0.0000 0.5000 (multiplicity 4)  4 Ti 2.61, 2 As 2.77
As 0.0000 0.0000 0.0000 (multiplicity 4)  4 Ti 2.53, 2 Zn 2.77
........
**The article goes on:**
What’s an emotional exorcism? Sounds kinda scary. Not to worry. It is simply ridding yourself of your inner ghoul, of that negative self-talk that leads so many of us otherwise strong, vibrant, and successful women down a path of self-doubt, self-recrimination, and self-destruction. It’s learning how to shed that nasty whispering voice and replacing it with the sweet, self-serving sounds of your fairy godmother. It seems so apparent, so straightforward, so logical…and so easy. Simply decide NOT to think that way and it shall happen. Period. Then why is it so hard in practice to shut down that DESTRUCTO-BITCH voice that lives inside our heads and hearts? Because we are humans and doing so involves change, something our homeostatic tendencies are not aligned with. So what are some ways we can cope with this saboteur that resides in all of us? How do you stand up to that voice of destruction, that Desdemona of the darkness that’s inside? You begin by taking small steps.
STEP 1. Become aware of her voice.
Pay attention when your inner ghoul speaks up. And once you can recognize her repeatedly (probably not hard to do), give her a name. Some of my favorites that my clients have given to their inner ghouls in the past include: Negative Nancy; Malicious Mommy; and Arianna Asshole. Good. Now on to how to spot her.
STEP 2. Notice what she looks like.
She may be faceless and have no body. Or she may be like a Barbie doll (or some other such insidious but nonetheless beloved character) and you may costume her in some hideous dime-store make-up, dress her in paisley and plaid (or whatever you find utterly distasteful), and fit her head with some sort of ridiculous wig, hat, or plume of feathers. Does she have an accent to her voice? What kind of shoes does she wear? Is the texture of her skin smooth or soft? Perhaps she’s not even human…? What does she eat? What does she read? What are her favorite shows on TV? Really give her a personality so you can be clear about WHO she is so you can SPOT HER when she shows up!
STEP 3. Armor up!
(Unrelated to this piece: records of crystals)
- - -
(w)
## PrMgInGa (PBE-GGA)

Data for a relaxed structure of PrMgInGa.

Computed properties:
Space group   Pmmm

Geometry as POSCAR:
```
PrMgInGa
1.0
4.4979 0.0000 0.0000
0.0000 4.5621 0.0000
0.0000 0.0000 4.7410
Mg Pr In Ga
1 1 1 1
Direct
0.5000 0.0000 0.5000
0.5000 0.5000 0.0000
0.0000 0.5000 0.5000
0.0000 0.0000 0.0000
```

***

(x)
## PrMgInGa (PBE-GGA)

Data for a relaxed structure of PrMgInGa.

Computed properties:
Space group   F-43m

Geometry as POSCAR:
```
PrMgInGa
1.0
5.1815 0.0000 0.0000
2.5908 4.4873 0.0000
2.5908 1.4958 4.2307
Pr In Mg Ga
1 1 1 1
Direct
0.0000 0.0000 0.0000
0.7500 0.7500 0.7500
0.5000 0.5000 0.5000
0.2500 0.2500 0.2500
```

***

Which structure is the most stable? The one labeled (w).

***

(w)
## YMgInGa (PBE-GGA)

Data for a relaxed structure of YMgInGa.

Computed properties:
Space group   F-43m

Geometry as POSCAR:
```
YMgInGa
1.0
5.0773 0.0000 0.0000
2.5386 4.3971 0.0000
2.5386 1.4657 4.1456
Y Mg In Ga
1 1 1 1
Direct
0.7500 0.7500 0.7500
0.2500 0.2500 0.2500
0.5000 0.5000 0.5000
0.0000 0.0000 0.0000
```

***

(x)
## YMgInGa (PBE-GGA)

Data for a relaxed structure of YMgInGa.

Computed properties:
Space group   Pmmm

Geometry as POSCAR:
```
YMgInGa
1.0
4.3810 0.0000 0.0000
0.0000 4.4533 0.0000
0.0000 0.0000 4.5987
Ga Mg Y In
1 1 1 1
Direct
0.5000 0.5000 0.0000
0.0000 0.5000 0.5000
0.0000 0.0000 0.0000
0.5000 0.0000 0.5000
```

***

Which structure is the most stable? The one labeled (x).

***

(w)
## Mn2InGa (PBE-GGA)

Data for a relaxed structure of Mn2InGa.

Computed properties:
Space group   P4/mmm

Geometry as POSCAR:
```
Mn2InGa
1.0
3.8537 0.0000 0.0000
0.0000 3.9862 0.0000
0.0000 0.0000 3.9862
In Mn Ga
1 2 1
Direct
0.5000 0.0000 0.0000
0.0000 0.0000 0.5000
0.0000 0.5000 0.0000
0.5000 0.5000 0.5000
```

***

(x)
## Mn2InGa (PBE-GGA)

Data for a relaxed structure of Mn2InGa.

Computed properties:
Space group   P4/mmm

Geometry as POSCAR:
```
Mn2InGa
1.0
-2.0420 0.9237 1.7483
-1.1763 -2.5876 -0.0068
4.2151 -1.9318 5.9441
In Mn Ga
1 2 1
Direct
0.5000 0.5000 0.5000
0.0000 0.0000 0.2246
0.0000 0.0000 0.7754
0.5000 0.5000 0.0000
```

***

(y)
## Mn2InGa (PBE-GGA)

Data for a relaxed structure of Mn2InGa.

Computed properties:
Space group   I-42d

Geometry as POSCAR:
```
Mn2InGa
1.0
-1.2829 6.1194 -3.3067
-6.8780 -0.6149 1.5304
-3.6737 4.1229 1.4906
Ga In Mn
2 2 4
Direct
0.5000 0.5000 0.0000
0.2500 0.7500 0.5000
0.0000 0.0000 0.0000
0.7500 0.2500 0.5000
0.8750 0.8527 0.7500
0.1473 0.6250 0.2500
0.6027 0.1250 0.2500
0.3750 0.3973 0.7500
```

***

Which structure is the most stable? The one labeled (x).

***

(w)
## InGa2N3 (PBE-GGA)

Data for a relaxed structure of InGa2N3.

Computed properties:
Space group   Cc

Geometry as POSCAR:
```
InGa2N3
1.0
-2.8889 -3.4242 3.6498
2.2549 -2.1745 -4.8558
4.8248 0.7321 3.0254
In Ga N
2 4 6
Direct
0.0983 0.9246 0.5060
0.9246 0.0983 0.0060
0.4278 0.5932 0.5072
0.7586 0.2674 0.5077
0.2674 0.7586 0.0077
0.5932 0.4278 0.0072
0.2490 0.0559 0.9021
0.0559 0.2490 0.4021
- - -
When your inner ghoul smirks at you, you smile back. When she laughs at you, you coo in delight. When she raises her scepter, you raise your sword. You are a warrior princess. You will not be defeated. You must simply show her that she has no power. It may take time and many battles, but you can do it—and do it you MUST if you are going to make the changes you SAY you want in your life. It’s not easy. It may take days, months, years of non-stop talking back to her, ignoring her, and stopping her dead in her tracks! Over time, I promise you that you WILL learn to manage her and to “quiet her” when she talks back, shouts meanly, or disparages you, which she will.
STEP 4. CHOOSE to NOT listen to her or ANY of your inner ghouls.
We are all comprised of many different inner voices and thoughts. The ones we LISTEN to are the ones that have POWER. The way to disempower those ghouls is to unplug them—simply acknowledge their presence but choose NOT to follow their words of wisdom, sage advice, or friendly offerings. They are tricky little buggers but, in time, they will fade from the forefront of your life. Ultimately, our ghouls will always be a part of us—the trick (or treat!) is simply choosing whether and how hard to listen to them (or not!).
What a fabulous blog post. It is so comforting, hearing other women share stories about their “inner ghouls!” Why is it so hard to believe that other women deal with them, too? It’s irrational to think that we’re the only ones with inner demons, and yet we so often feel alone when we take self-served blows to our self confidence. Thank you for being brave enough to write out all the CRAP an inner ghoul can say. Not only does this make women feel less alone, but it also works to undermine the ghoul itself: writing some of the insults we tell ourselves helps us realize how ridiculous they really are.
So glad I stopped by your website! 🙂